# Request
Your job: find the line further below that holds "0.7131 0.2775", then set down that line and all lines after it there.

# Data
Entry 1:
Structure and theoretical powder XRD pattern of Ta2Nb5Pd2 (DFT lattice parameters and positions (PBE); Cu Kα, 1.54184 Å).
Kinematic intensities with the Lorentz-polarization factor, no thermal factor.

Crystal structure
abc: 2.8141 7.2296 7.9882
angles: 99.56 91.53 99.72
Element x y z (fractional)
Ta 0.1764 0.0080 0.3336
Ta 0.8236 0.9920 0.6664
Nb 0.0458 0.6597 0.7916
Nb 0.3728 0.6636 0.4497
Nb 0.5000 0.0000 0.0000
Nb 0.6272 0.3364 0.5503
Nb 0.9542 0.3403 0.2084
Pd 0.3070 0.3219 0.8772
Pd 0.6930 0.6781 0.1228

Largest 10 diffraction maxima, by intensity, 5° ≤ 2θ ≤ 70°:
2θ 38.68, I = 100
2θ 38.48, I = 34
2θ 39.17, I = 32
2θ 39.95, I = 31
2θ 54.34, I = 12
2θ 57.30, I = 11
2θ 57.08, I = 10
2θ 12.61, I = 10
2θ 69.65, I = 6
2θ 68.83, I = 6

=====

Entry 2:
Structure and theoretical powder XRD pattern of Ta2Nb3Pd (DFT lattice parameters and positions (PBE); Cu Kα, 1.54184 Å).
Kinematic intensities with the Lorentz-polarization factor, no thermal factor.

Crystal structure
abc: 8.5843 8.5843 8.5843
angles: 120.29 120.29 89.50
Element x y z (fractional)
Ta 0.2775 0.7131 0.5644
Ta 0.2869 0.3513 0.5644
Ta 0.2869 0.7225 0.9356
Ta 0.3513 0.2869 0.0644
Ta 0.6487 0.7131 0.9356
Ta 0.7131 0.2775 0.0644
Ta 0.7131 0.6487 0.4356
Ta 0.7225 0.2869 0.4356
Nb 0.0000 0.5000 0.5000
Nb 0.0592 0.3092 0.1183
Nb 0.0592 0.9408 0.7500
Nb 0.3092 0.0592 0.6183
Nb 0.3092 0.6908 0.2500
Nb 0.5000 0.0000 0.0000
Nb 0.5000 0.5000 0.0000
Nb 0.5000 0.5000 0.5000
Nb 0.6908 0.3092 0.7500
Nb 0.6908 0.9408 0.3817
Nb 0.9408 0.0592 0.2500
Nb 0.9408 0.6908 0.8817
Pd 0.0696 0.3196 0.7500
Pd 0.3196 0.0696 0.2500
Pd 0.6804 0.9304 0.7500
Pd 0.9304 0.6804 0.2500

Largest 10 diffraction maxima, by intensity, 5° ≤ 2θ ≤ 70°:
2θ 38.70, I = 100
2θ 38.59, I = 62
2θ 38.39, I = 56
2θ 42.11, I = 39
2θ 36.36, I = 38
2θ 25.45, I = 36
2θ 12.65, I = 34
2θ 65.21, I = 27
2θ 65.52, I = 24
2θ 42.30, I = 20

=====

Entry 3:
Structure and theoretical powder XRD pattern of TaNbPd (DFT lattice parameters and positions (PBE); Cu Kα, 1.54184 Å).
Kinematic intensities with the Lorentz-polarization factor, no thermal factor.

Crystal structure
abc: 4.5700 4.5700 5.6942
angles: 90.00 90.00 120.00
Element x y z (fractional)
Ta 0.0000 0.0000 0.2477
Ta 0.0000 0.0000 0.7523
Nb 0.3333 0.6667 0.0906
Nb 0.6667 0.3333 0.9094
Pd 0.3333 0.6667 0.5993
Pd 0.6667 0.3333 0.4007

Largest 8 diffraction maxima, by intensity, 5° ≤ 2θ ≤ 70°:
2θ 38.97, I = 100
2θ 39.43, I = 96
2θ 56.64, I = 33
2θ 22.46, I = 15
2θ 51.27, I = 7
2θ 31.42, I = 4
2θ 45.86, I = 3
2θ 62.04, I = 2

=====

Entry 4:
Structure and theoretical powder XRD pattern of Tb2NbPd9 (DFT lattice parameters and positions (PBE); Cu Kα, 1.54184 Å).
Kinematic intensities with the Lorentz-polarization factor, no thermal factor.

Crystal structure
abc: 4.0735 4.0735 12.2520
angles: 90.00 90.00 90.00
Element x y z (fractional)
Tb 0.0000 0.0000 0.1665
Tb 0.0000 0.0000 0.8335
Nb 0.0000 0.0000 0.5000
Pd 0.0000 0.5000 0.0000
Pd 0.0000 0.5000 0.3464
Pd 0.0000 0.5000 0.6536
Pd 0.5000 0.0000 0.0000
Pd 0.5000 0.0000 0.3464
Pd 0.5000 0.0000 0.6536
Pd 0.5000 0.5000 0.1736
Pd 0.5000 0.5000 0.5000
Pd 0.5000 0.5000 0.8264

Largest 10 diffraction maxima, by intensity, 5° ≤ 2θ ≤ 70°:
2θ 38.24, I = 100
2θ 44.48, I = 33
2θ 64.67, I = 30
2θ 44.36, I = 15
2θ 36.69, I = 2
2θ 34.41, I = 1
2θ 69.52, I = 1
2θ 58.97, I = 1
2θ 21.80, I = 1
2θ 31.02, I = 1

=====

Entry 5:
Structure and theoretical powder XRD pattern of NbTe4Pd2 (DFT lattice parameters and positions (PBE); Cu Kα, 1.54184 Å).
Kinematic intensities with the Lorentz-polarization factor, no thermal factor.

Crystal structure
abc: 8.1101 8.1101 8.1101
angles: 119.94 119.94 90.10
Element x y z (fractional)
Nb 0.3750 0.6250 0.7500
Nb 0.6250 0.3750 0.2500
Te 0.2230 0.2413 0.9818
Te 0.2413 0.2230 0.4818
Te 0.2413 0.7595 0.0182
Te 0.2405 0.7587 0.4818
Te 0.7595 0.2413 0.5182
Te 0.7587 0.2405 0.9818
Te 0.7587 0.7770 0.5182
Te 0.7770 0.7587 0.0182
Pd 0.0000 0.0000 0.0000
Pd 0.0000 0.0000 0.5000
Pd 0.0000 0.5000 0.0000

# Done
Ta 0.7131 0.2775 0.0644
Ta 0.7131 0.6487 0.4356
Ta 0.7225 0.2869 0.4356
Nb 0.0000 0.5000 0.5000
Nb 0.0592 0.3092 0.1183
Nb 0.0592 0.9408 0.7500
Nb 0.3092 0.0592 0.6183
Nb 0.3092 0.6908 0.2500
Nb 0.5000 0.0000 0.0000
Nb 0.5000 0.5000 0.0000
Nb 0.5000 0.5000 0.5000
Nb 0.6908 0.3092 0.7500
Nb 0.6908 0.9408 0.3817
Nb 0.9408 0.0592 0.2500
Nb 0.9408 0.6908 0.8817
Pd 0.0696 0.3196 0.7500
Pd 0.3196 0.0696 0.2500
Pd 0.6804 0.9304 0.7500
Pd 0.9304 0.6804 0.2500

Largest 10 diffraction maxima, by intensity, 5° ≤ 2θ ≤ 70°:
2θ 38.70, I = 100
2θ 38.59, I = 62
2θ 38.39, I = 56
2θ 42.11, I = 39
2θ 36.36, I = 38
2θ 25.45, I = 36
2θ 12.65, I = 34
2θ 65.21, I = 27
2θ 65.52, I = 24
2θ 42.30, I = 20

=====

Entry 3:
Structure and theoretical powder XRD pattern of TaNbPd (DFT lattice parameters and positions (PBE); Cu Kα, 1.54184 Å).
Kinematic intensities with the Lorentz-polarization factor, no thermal factor.

Crystal structure
abc: 4.5700 4.5700 5.6942
angles: 90.00 90.00 120.00
Element x y z (fractional)
Ta 0.0000 0.0000 0.2477
Ta 0.0000 0.0000 0.7523
Nb 0.3333 0.6667 0.0906
Nb 0.6667 0.3333 0.9094
Pd 0.3333 0.6667 0.5993
Pd 0.6667 0.3333 0.4007

Largest 8 diffraction maxima, by intensity, 5° ≤ 2θ ≤ 70°:
2θ 38.97, I = 100
2θ 39.43, I = 96
2θ 56.64, I = 33
2θ 22.46, I = 15
2θ 51.27, I = 7
2θ 31.42, I = 4
2θ 45.86, I = 3
2θ 62.04, I = 2

=====

Entry 4:
Structure and theoretical powder XRD pattern of Tb2NbPd9 (DFT lattice parameters and positions (PBE); Cu Kα, 1.54184 Å).
Kinematic intensities with the Lorentz-polarization factor, no thermal factor.

Crystal structure
abc: 4.0735 4.0735 12.2520
angles: 90.00 90.00 90.00
Element x y z (fractional)
Tb 0.0000 0.0000 0.1665
Tb 0.0000 0.0000 0.8335
Nb 0.0000 0.0000 0.5000
Pd 0.0000 0.5000 0.0000
Pd 0.0000 0.5000 0.3464
Pd 0.0000 0.5000 0.6536
Pd 0.5000 0.0000 0.0000
Pd 0.5000 0.0000 0.3464
Pd 0.5000 0.0000 0.6536
Pd 0.5000 0.5000 0.1736
Pd 0.5000 0.5000 0.5000
Pd 0.5000 0.5000 0.8264

Largest 10 diffraction maxima, by intensity, 5° ≤ 2θ ≤ 70°:
2θ 38.24, I = 100
2θ 44.48, I = 33
2θ 64.67, I = 30
2θ 44.36, I = 15
2θ 36.69, I = 2
2θ 34.41, I = 1
2θ 69.52, I = 1
2θ 58.97, I = 1
2θ 21.80, I = 1
2θ 31.02, I = 1

=====

Entry 5:
Structure and theoretical powder XRD pattern of NbTe4Pd2 (DFT lattice parameters and positions (PBE); Cu Kα, 1.54184 Å).
Kinematic intensities with the Lorentz-polarization factor, no thermal factor.

Crystal structure
abc: 8.1101 8.1101 8.1101
angles: 119.94 119.94 90.10
Element x y z (fractional)
Nb 0.3750 0.6250 0.7500
Nb 0.6250 0.3750 0.2500
Te 0.2230 0.2413 0.9818
Te 0.2413 0.2230 0.4818
Te 0.2413 0.7595 0.0182
Te 0.2405 0.7587 0.4818
Te 0.7595 0.2413 0.5182
Te 0.7587 0.2405 0.9818
Te 0.7587 0.7770 0.5182
Te 0.7770 0.7587 0.0182
Pd 0.0000 0.0000 0.0000
Pd 0.0000 0.0000 0.5000
Pd 0.0000 0.5000 0.0000